[Source]
-- begin --
A plane-wave DFT calculation with GGA-PBE was carried out for a geometry-optimized KVSnCl6 structure. Values from VASP.

Geometry as Quantum ESPRESSO input:
```
&SYSTEM
  ibrav = 0, nat = 9, ntyp = 4
/
ATOMIC_SPECIES
Cl 35.45 Cl.upf
K 39.10 K.upf
V 50.94 V.upf
Sn 118.71 Sn.upf
CELL_PARAMETERS angstrom
6.907 0.000 0.000
3.453 5.981 0.001
0.000 0.001 6.692
ATOMIC_POSITIONS crystal
Cl 0.612 0.344 0.708
Cl 0.344 0.612 0.292
Cl 0.044 0.612 0.708
Cl 0.044 0.344 0.292
K 0.000 0.000 0.000
Cl 0.612 0.044 0.292
V 0.333 0.333 0.500
Sn 0.667 0.667 0.500
Cl 0.344 0.044 0.708
```

Values from the calculation:
* space group: P312 (149)
* calculated density: 2.532 g/cm³
* total moment: 2.000 μB/f.u.
* formation energy from raw total energies: -1.33 eV/atom
* DOS(E_F): 0.704 states/eV per atom

----------

[1]
Li2TaHg | PBE | optimized geometry

Geometry as POSCAR:
```
Li2TaHg
1.0
-2.1044 0.9051 -3.8503
1.4023 -2.0034 -1.2374
-3.4458 -4.7629 0.7637
Hg Li Ta
1 2 1
Direct
0.5000 0.8114 0.7541
0.5000 0.0871 0.2284
0.0000 0.1633 0.0109
0.0000 0.4382 0.5066
```

Summary:
Calculated formation energy (eV/f.u.): 1.08

---

[2]
OsRu2Pb | PBE | optimized geometry

Geometry as POSCAR:
```
OsRu2Pb
1.0
-0.7106 3.1780 -3.5702
-4.7800 0.4580 -0.5418
2.7341 0.3305 3.9708
Ru Os Pb
2 1 1
Direct
0.0000 0.0000 0.0000
0.5000 0.5000 0.0000
0.7500 0.2500 0.5000
0.2500 0.7500 0.5000
```

Summary:
Calculated formation energy (eV/f.u.): 2.51

---

[3]
EuThZnNi | PBE | optimized geometry

Geometry as POSCAR:
```
EuThZnNi
1.0
-0.1952 -0.5743 -5.0397
1.1842 -4.4704 -2.0928
-3.6317 -2.8659 -2.0891
Zn Eu Th Ni
1 1 1 1
Direct
0.7500 0.7500 0.7500
0.0000 0.0000 0.0000
0.5000 0.5000 0.5000
0.2500 0.2500 0.2500
```

Summary:
Calculated formation energy (eV/f.u.): -0.51

---

[4]
Hf3ZrZn | PBE | optimized geometry

Geometry as POSCAR:
```
Hf3ZrZn
1.0
-0.5421 4.3457 3.5525
-7.3088 -4.5220 1.8952
4.0020 -5.8378 5.2310
Hf Zr Zn
12 4 4
Direct
0.6276 0.1229 0.2661
0.3767 0.6256 0.0048
0.1233 0.9952 0.3744
0.9722 0.6703 0.5447
0.8767 0.0048 0.6256
0.4722 0.5447 0.6703
0.5278 0.4553 0.3297
0.6233 0.3744 0.9952
0.3724 0.8771 0.7339
0.8724 0.7339 0.8771
0.1276 0.2661 0.1229
0.0278 0.3297 0.4553
0.5032 0.7854 0.3906
0.4968 0.2146 0.6094
0.9968 0.6094 0.2146
0.0032 0.3906 0.7854
0.7500 0.0904 0.9096
0.2500 0.9096 0.0904
0.7500 0.8759 0.1241
0.2500 0.1241 0.8759
```

Summary:
Calculated formation energy (eV/f.u.): -0.12
Relative energy among the computed polymorphs (eV/f.u.): 0.00

---

[5]
Co2MoH | PBE | optimized geometry

Geometry as POSCAR:
```
Co2MoH
1.0
4.9702 0.0000 0.0000
0.0000 4.9702 0.0000
2.4851 2.4851 3.2838
Mo H Co
2 2 4
Direct
0.7500 0.2500 0.5000
0.0000 0.0000 0.0000
0.2500 0.7500 0.5000
0.5000 0.5000 0.0000
0.4703 0.1250 0.2500
0.3750 0.5297 0.7500
0.8750 0.7203 0.7500
0.2797 0.6250 0.2500
```

Summary:
Relative energy among the computed polymorphs (eV/f.u.): 0.63

---

[6]
SmMg5Ni2 | PBE | optimized geometry

Geometry as POSCAR:
```
SmMg5Ni2
1.0
3.8799 0.0000 1.2843
1.4567 6.1697 2.1021
-0.0544 -0.3896 6.6672
Mg Ni Sm
5 2 1
Direct
-- stop --
[Wanted]
Now repeat every line earlier on that contains the word "Hf3ZrZn".
[Here it is]
Hf3ZrZn | PBE | optimized geometry
Hf3ZrZn